(Work order)
Now repeat every line below that contains the word "CeErS3".

(Input)
-- begin --
(1)
A relaxed structure of CeErS3. Source: Materials Project, functional PBE.

Cell: 3.927 10.971 21.492 Å, 78.47 90.00 90.00°
Atoms (fractional coordinates):
Ce 0.250 0.304 0.766
S 0.250 0.354 0.515
Ce 0.250 0.693 0.731
S 0.750 0.039 0.271
Ce 0.250 0.800 0.537
Ce 0.750 0.200 0.463
S 0.750 0.255 0.677
S 0.250 0.206 0.366
S 0.250 0.086 0.038
S 0.250 0.342 0.900
S 0.250 0.876 0.165
S 0.750 0.363 0.036
S 0.250 0.637 0.964
S 0.250 0.549 0.634
Ce 0.250 0.908 0.863
Er 0.750 0.523 0.911
S 0.750 0.794 0.634
S 0.750 0.914 0.962
S 0.750 0.658 0.100
S 0.750 0.942 0.445
Er 0.750 0.030 0.648
S 0.750 0.124 0.835
S 0.250 0.506 0.222
Ce 0.750 0.696 0.234
S 0.250 0.058 0.555
Er 0.250 0.823 0.046
S 0.750 0.646 0.485
S 0.250 0.252 0.176
S 0.250 0.961 0.729
S 0.750 0.451 0.366
S 0.750 0.748 0.824
Er 0.250 0.970 0.352
Ce 0.750 0.307 0.269
Er 0.250 0.477 0.089
S 0.250 0.745 0.323
S 0.750 0.494 0.778
Er 0.750 0.447 0.582
Er 0.250 0.553 0.418
Ce 0.750 0.092 0.137
Er 0.750 0.177 0.954

Output
Its space-group type is P2_1/m (11). The calculation puts the energy of formation at -2344 meV/atom.



(2)
A relaxed structure of Ce4Er11S22. Source: Materials Project, functional PBE.

Cell: 3.930 11.361 19.675 Å, 91.45 95.73 90.00°
Atoms (fractional coordinates):
Ce 0.367 0.348 0.734
S 0.189 0.690 0.378
S 0.135 0.454 0.270
Er 0.263 0.352 0.526
S 0.650 0.908 0.299
Ce 0.896 0.988 0.791
Er 0.342 0.699 0.685
S 0.831 0.849 0.662
S 0.547 0.969 0.094
Er 0.798 0.059 0.595
S 0.745 0.881 0.490
Er 0.202 0.941 0.405
S 0.407 0.788 0.815
Er 0.000 0.000 0.000
S 0.720 0.411 0.439
Er 0.930 0.639 0.861
S 0.555 0.507 0.110
S 0.593 0.212 0.185
Er 0.462 0.271 0.924
Er 0.737 0.648 0.474
S 0.453 0.031 0.906
S 0.865 0.546 0.730
Er 0.658 0.301 0.315
S 0.350 0.092 0.701
S 0.992 0.759 0.984
S 0.811 0.310 0.622
S 0.255 0.119 0.510
S 0.912 0.249 0.824
Er 0.538 0.729 0.076
Ce 0.633 0.652 0.266
S 0.169 0.151 0.338
S 0.088 0.751 0.176
S 0.008 0.241 0.016
Ce 0.104 0.012 0.209
S 0.445 0.493 0.890
S 0.280 0.589 0.561
Er 0.070 0.361 0.139

Output
Its space-group type is C2/m (12). The calculation puts the energy of formation at -2367 meV/atom.



(3)
A relaxed structure of Ce3Eu. Source: Materials Project, functional PBE.

Cell: 5.972 5.972 5.972 Å, 132.34 132.34 69.69°
Atoms (fractional coordinates):
Ce 0.500 0.500 0.000
Ce 0.750 0.250 0.500
Eu 0.000 0.000 0.000
Ce 0.250 0.750 0.500

Output
Its space-group type is I4/mmm (139). The calculation puts the energy of formation at 208 meV/atom.



(4)
A relaxed structure of CeEu3. Source: Materials Project, functional PBE.

Cell: 7.762 7.762 6.309 Å, 90.00 90.00 120.00°
Atoms (fractional coordinates):
Eu 0.170 0.340 0.250
Ce 0.333 0.667 0.750
Ce 0.667 0.333 0.250
Eu 0.340 0.170 0.750
Eu 0.830 0.170 0.750
Eu 0.830 0.660 0.750
Eu 0.660 0.830 0.250
Eu 0.170 0.830 0.250

Output
Its space-group type is P6_3/mmc (194). The calculation puts the energy of formation at 149 meV/atom.



(5)
A relaxed structure of CeEu2ZrO6. Source: Materials Project, functional PBE.

Cell: 6.101 6.101 6.101 Å, 60.00 60.00 60.00°
Atoms (fractional coordinates):
Zr 0.500 0.500 0.500
Ce 0.000 0.000 0.000
Eu 0.250 0.250 0.250
O 0.257 0.743 0.743
O 0.743 0.743 0.257
O 0.257 0.743 0.257
O 0.257 0.257 0.743
Eu 0.750 0.750 0.750
O 0.743 0.257 0.257
O 0.743 0.257 0.743

Output
Its space-group type is Fm-3m (225). The calculation puts the energy of formation at -3475 meV/atom.



(6)
A relaxed structure of CeEu2ZrO6. Source: Materials Project, functional PBE.

Cell: 8.614 8.614 8.614 Å, 90.00 90.00 90.00°
Atoms (fractional coordinates):
Eu 0.000 0.500 0.000
Ce 0.750 0.250 0.250
O 0.008 0.712 0.794
O 0.794 0.008 0.712
O 0.992 0.288 0.794
O 0.794 0.992 0.288
Zr 0.750 0.750 0.250
Zr 0.250 0.750 0.750
Eu 0.500 0.500 0.500
O 0.712 0.794 0.008
O 0.508 0.212 0.706
O 0.492 0.212 0.294
O 0.492 0.788 0.706
Eu 0.000 0.000 0.500
O 0.788 0.706 0.492
O 0.294 0.508 0.788
O 0.788 0.294 0.508
Eu 0.000 0.000 0.000
O 0.206 0.008 0.288
Eu 0.500 0.000 0.000
Eu 0.000 0.500 0.500
Zr 0.750 0.250 0.750
-- stop --

(Outcome)
A relaxed structure of CeErS3. Source: Materials Project, functional PBE.